(Assignment)
Your job: retype the part of the calculation results below that starts with the line with "Ca24 0.758" and stops after the one with "0.662 0.145".

(Data)
+++
Record 1
# PBE+U SrCa7Mn6Cr2O24, optimized geometry
# - Energy with MP2020 corrections: -7.73 eV per atom
# - E_form: -2.5072 eV per atom
# - Excess energy over the best structure of this formula in the dataset: 0 meV/atom
data_SrCa7Mn6Cr2O24
_symmetry_space_group_name_H-M 'P 1'
_symmetry_Int_Tables_number 1
_symmetry_space_group_name_Hall 'P 1'
_cell_length_a 10.705
_cell_length_b 10.863
_cell_length_c 15.179
_cell_angle_alpha 90.00
_cell_angle_beta 90.01
_cell_angle_gamma 90.03
loop_
_atom_site_label
_atom_site_fract_x
_atom_site_fract_y
_atom_site_fract_z
_atom_site_occupancy
Sr1 0.000 0.000 0.000 1
Sr2 0.006 0.034 0.749 1
Sr3 0.251 0.781 0.749 1
Sr4 0.756 0.251 0.999 1
Ca1 0.007 0.040 0.249 1
Ca2 0.007 0.536 0.749 1
Ca3 0.007 0.539 0.249 1
Ca4 0.248 0.290 0.249 1
Ca5 0.248 0.291 0.749 1
Ca6 0.249 0.790 0.249 1
Ca7 0.257 0.744 0.499 1
Ca8 0.258 0.245 0.499 1
Ca9 0.258 0.246 0.999 1
Ca10 0.258 0.743 0.000 1
Ca11 0.498 0.493 0.500 1
Ca12 0.498 0.494 0.999 1
Ca13 0.498 0.995 0.000 1
Ca14 0.499 0.995 0.498 1
Ca15 0.508 0.040 0.249 1
Ca16 0.508 0.537 0.749 1
Ca17 0.508 0.540 0.249 1
Ca18 0.509 0.040 0.749 1
Ca19 0.748 0.291 0.749 1
Ca20 0.748 0.786 0.749 1
Ca21 0.749 0.289 0.249 1
Ca22 0.749 0.789 0.249 1
Ca23 0.757 0.744 0.000 1
Ca24 0.758 0.245 0.499 1
Ca25 0.758 0.744 0.498 1
Ca26 0.999 0.493 0.499 1
Ca27 0.999 0.495 0.999 1
Ca28 0.999 0.995 0.498 1
Mn1 0.003 0.267 0.374 1
Mn2 0.003 0.766 0.125 1
Mn3 0.003 0.767 0.374 1
Mn4 0.004 0.268 0.623 1
Mn5 0.004 0.269 0.126 1
Mn6 0.004 0.269 0.873 1
Mn7 0.253 0.017 0.374 1
Mn8 0.253 0.515 0.623 1
Mn9 0.253 0.515 0.875 1
Mn10 0.253 0.517 0.374 1
Mn11 0.254 0.517 0.125 1
Mn12 0.255 0.017 0.125 1
Mn13 0.501 0.267 0.125 1
Mn14 0.502 0.267 0.873 1
Mn15 0.503 0.267 0.374 1
Mn16 0.503 0.766 0.125 1
Mn17 0.503 0.767 0.374 1
Mn18 0.504 0.267 0.624 1
Mn19 0.751 0.016 0.126 1
Mn20 0.753 0.017 0.374 1
Mn21 0.753 0.516 0.624 1
Mn22 0.753 0.517 0.374 1
Mn23 0.753 0.518 0.873 1
Mn24 0.754 0.518 0.125 1
Cr1 0.001 0.763 0.876 1
Cr2 0.001 0.764 0.622 1
Cr3 0.254 0.018 0.622 1
Cr4 0.255 0.017 0.875 1
Cr5 0.503 0.766 0.875 1
Cr6 0.504 0.766 0.623 1
Cr7 0.749 0.016 0.873 1
Cr8 0.750 0.017 0.623 1
O1 0.040 0.276 0.000 1
O2 0.041 0.771 0.000 1
O3 0.041 0.776 0.498 1
O4 0.043 0.277 0.499 1
O5 0.106 0.413 0.354 1
O6 0.106 0.413 0.644 1
O7 0.106 0.913 0.354 1
O8 0.107 0.413 0.145 1
O9 0.107 0.413 0.854 1
O10 0.108 0.911 0.146 1
O11 0.113 0.909 0.638 1
O12 0.115 0.908 0.860 1
O13 0.144 0.656 0.640 1
O14 0.144 0.656 0.857 1
O15 0.150 0.162 0.144 1
O16 0.150 0.163 0.353 1
O17 0.150 0.166 0.857 1
O18 0.150 0.662 0.145 1
O19 0.150 0.663 0.354 1
O20 0.151 0.165 0.642 1
O21 0.214 0.526 0.000 1
O22 0.214 0.526 0.498 1
O23 0.215 0.028 0.498 1
O24 0.224 0.028 0.999 1
O25 0.289 0.012 0.749 1
O26 0.292 0.508 0.749 1
O27 0.293 0.007 0.249 1
O28 0.293 0.507 0.249 1
O29 0.355 0.370 0.894 1
O30 0.355 0.371 0.105 1
O31 0.356 0.370 0.603 1
O32 0.356 0.371 0.394 1
O33 0.356 0.871 0.395 1
O34 0.357 0.870 0.103 1
O35 0.361 0.872 0.604 1
O36 0.362 0.870 0.894 1
O37 0.399 0.620 0.605 1
O38 0.399 0.620 0.893 1
O39 0.400 0.121 0.105 1
O40 0.400 0.121 0.395 1
O41 0.400 0.121 0.603 1
O42 0.400 0.621 0.103 1
O43 0.400 0.621 0.395 1
O44 0.401 0.120 0.893 1
O45 0.463 0.256 0.749 1
O46 0.463 0.257 0.250 1
O47 0.464 0.756 0.249 1
O48 0.475 0.757 0.749 1
O49 0.533 0.277 0.999 1
O50 0.542 0.777 0.499 1
O51 0.543 0.277 0.499 1
O52 0.543 0.777 0.999 1
O53 0.605 0.913 0.145 1
O54 0.606 0.413 0.354 1
O55 0.606 0.413 0.644 1
O56 0.606 0.913 0.354 1
O57 0.607 0.412 0.144 1
O58 0.607 0.412 0.854 1
O59 0.608 0.913 0.643 1
O60 0.608 0.913 0.855 1
O61 0.646 0.163 0.853 1
O62 0.647 0.161 0.146 1
O63 0.649 0.165 0.644 1
O64 0.650 0.163 0.354 1
O65 0.650 0.662 0.644 1
O66 0.650 0.662 0.855 1
O67 0.650 0.663 0.145 1
O68 0.650 0.663 0.354 1
O69 0.713 0.527 0.499 1
O70 0.714 0.027 0.499 1
O71 0.714 0.526 0.999 1
O72 0.715 0.021 0.999 1
O73 0.781 0.006 0.748 1
O74 0.792 0.006 0.250 1
O75 0.792 0.507 0.250 1
O76 0.792 0.508 0.748 1
O77 0.855 0.869 0.106 1
+++

(Response)
Ca24 0.758 0.245 0.499 1
Ca25 0.758 0.744 0.498 1
Ca26 0.999 0.493 0.499 1
Ca27 0.999 0.495 0.999 1
Ca28 0.999 0.995 0.498 1
Mn1 0.003 0.267 0.374 1
Mn2 0.003 0.766 0.125 1
Mn3 0.003 0.767 0.374 1
Mn4 0.004 0.268 0.623 1
Mn5 0.004 0.269 0.126 1
Mn6 0.004 0.269 0.873 1
Mn7 0.253 0.017 0.374 1
Mn8 0.253 0.515 0.623 1
Mn9 0.253 0.515 0.875 1
Mn10 0.253 0.517 0.374 1
Mn11 0.254 0.517 0.125 1
Mn12 0.255 0.017 0.125 1
Mn13 0.501 0.267 0.125 1
Mn14 0.502 0.267 0.873 1
Mn15 0.503 0.267 0.374 1
Mn16 0.503 0.766 0.125 1
Mn17 0.503 0.767 0.374 1
Mn18 0.504 0.267 0.624 1
Mn19 0.751 0.016 0.126 1
Mn20 0.753 0.017 0.374 1
Mn21 0.753 0.516 0.624 1
Mn22 0.753 0.517 0.374 1
Mn23 0.753 0.518 0.873 1
Mn24 0.754 0.518 0.125 1
Cr1 0.001 0.763 0.876 1
Cr2 0.001 0.764 0.622 1
Cr3 0.254 0.018 0.622 1
Cr4 0.255 0.017 0.875 1
Cr5 0.503 0.766 0.875 1
Cr6 0.504 0.766 0.623 1
Cr7 0.749 0.016 0.873 1
Cr8 0.750 0.017 0.623 1
O1 0.040 0.276 0.000 1
O2 0.041 0.771 0.000 1
O3 0.041 0.776 0.498 1
O4 0.043 0.277 0.499 1
O5 0.106 0.413 0.354 1
O6 0.106 0.413 0.644 1
O7 0.106 0.913 0.354 1
O8 0.107 0.413 0.145 1
O9 0.107 0.413 0.854 1
O10 0.108 0.911 0.146 1
O11 0.113 0.909 0.638 1
O12 0.115 0.908 0.860 1
O13 0.144 0.656 0.640 1
O14 0.144 0.656 0.857 1
O15 0.150 0.162 0.144 1
O16 0.150 0.163 0.353 1
O17 0.150 0.166 0.857 1
O18 0.150 0.662 0.145 1